# Request
Write out the listing further down from the first line to the one with "-0.70587" without altering anything.

# Material
~~~
1.
The following is a DFT calculation (ωB97M-V with the def2-TZVPD basis set) of a molecular structure, C46H45CuN5O2P2S2.

multiplicity: 2
gap between HOMO and LUMO (spin up / spin down): 7.70 / 6.60 eV
HOMO (spin up / spin down): -7.17 / -7.16 eV
expectation value of S²: 0.7564
E_tot: -5323.78897 hartree
energy relative to the best compared isomer or geometry (same formula, charge and spin): 0.00 kJ/mol

Element x y z (Å)
C  2.03115  3.14177  1.68404
H  2.23862  -0.47397  -5.67362
H  -2.97729  -4.55754  6.43790
C  -2.20845  -5.64682  0.43550
H  -1.03245  1.87614  -1.45118
H  -4.14229  -3.25018  6.17912
S  1.04884  -0.33578  3.45072
Cu  -0.47836  0.23810  1.12515
H  -2.80605  -6.75255  2.17543
C  -2.10089  -2.71548  5.73392
H  -3.52347  4.05029  0.13971
C  1.36760  4.70532  -2.50157
C  -3.19080  0.77056  0.27434
C  -3.93748  1.85321  -0.12290
H  0.37517  4.63375  -4.40365
H  -1.75312  0.10949  3.86536
H  2.86825  -2.51131  2.97628
H  -0.01492  0.20161  -4.11631
C  2.38315  -2.85975  2.08274
H  1.65183  -2.45602  -4.51897
C  -2.43672  -1.53493  5.07374
H  -0.50779  -4.07641  6.18308
H  3.36799  -2.88056  -4.64761
H  2.71882  1.99358  -4.70489
C  4.43404  3.32996  1.81179
H  -3.46011  -1.17535  5.10879
H  2.16203  4.58289  -0.51868
S  2.90268  0.08437  -1.04168
N  2.84044  0.14852  -3.75393
H  -3.07722  -3.22461  7.58097
C  -2.50330  -2.29106  -2.54159
C  -0.69998  -0.72057  -2.31037
H  -3.16170  -2.68009  -4.54228
C  -1.58232  -1.22359  -4.49037
H  -0.92165  3.22078  2.61504
N  0.81930  -2.47484  0.33555
C  1.92644  3.83172  2.88788
H  -3.24693  -2.94510  -2.10217
H  4.31902  1.62419  -4.01832
H  5.41187  3.12380  1.39365
H  2.96150  2.05394  -2.95179
C  4.31949  4.02848  3.00705
H  2.55063  -2.50072  -2.15470
C  -1.61455  -1.59123  -1.72420
C  -2.63303  -5.77174  1.75007
C  -2.47327  -2.12468  -3.91761
C  1.44318  4.17680  -1.21817
H  3.96266  -0.68309  -5.33201
H  0.65498  -3.90798  -1.12136
C  -0.78406  -3.15948  5.67464
P  -1.77332  -1.55698  0.09318
H  -1.16629  2.81655  -3.71254
C  2.13919  -4.47258  0.32290
C  -3.43439  -0.70587  0.20988
C  3.29690  2.88258  1.15515
C  -0.34130  2.65914  -1.74312
C  -1.48534  -0.81290  4.36928
C  -3.13331  -3.48118  6.52081
C  0.59408  3.14373  -0.82392
H  0.95409  4.01354  3.32644
C  -0.17110  -1.27191  4.33350
H  1.21292  -2.77907  4.96541
O  2.32122  -0.62461  4.05262
H  5.20782  4.36967  3.52354
H  2.97052  4.81170  4.48076
C  0.43721  4.21465  -3.40638
O  0.56721  1.02634  3.49987
H  -2.73306  -2.49650  2.58736
H  3.50773  -4.66452  1.97628
C  -0.42165  3.19340  -3.02151
H  3.39243  2.32804  0.23081
C  -2.59377  -3.37892  1.97350
H  -4.06650  -0.97036  -0.63611
H  2.39761  -5.40600  -0.15939
C  -2.82403  -4.63158  2.52127
N  2.84498  -1.86124  -2.87580
H  -1.61825  -4.31575  -1.13076
C  3.06500  4.27837  3.54328
C  -2.17493  -3.24300  0.64845
H  -3.14199  -4.71634  3.55358
C  -0.70196  -0.51643  -3.68574
P  0.57323  2.43185  0.87180
H  -3.92890  -1.06247  1.11836
C  -0.92369  3.31038  1.52605
H  -0.91168  4.36285  1.24775
C  -1.96955  -4.39102  -0.10860
C  1.39596  -2.06569  1.45685
H  0.02354  -0.20414  -1.68660
H  -2.05780  -6.52978  -0.17291
H  2.03644  5.50714  -2.79122
H  -1.58136  -1.07261  -5.56333
C  3.23857  1.53380  -3.86430
C  0.18491  -2.44276  4.98765
N  0.94028  -0.79993  1.90236
N  -2.06193  1.21218  0.92685
C  2.86054  -0.53971  -2.58504
C  1.18262  -3.63780  -0.20664
H  -4.88739  1.82207  -0.63720
C  -3.23098  3.02176  0.29699
C  2.74456  -4.05537  1.50697
C  2.66818  -2.12486  -4.29655
C  2.95866  -0.74406  -4.90032
C  -2.08857  2.58979  0.92305

2.
The following is a DFT calculation (ωB97M-V with the def2-TZVPD basis set) of a molecular structure, C46H45IN4OPTc.

multiplicity: 4
gap between HOMO and LUMO (spin up / spin down): 6.75 / 5.36 eV
total charge: +1
HOMO (spin up / spin down): -9.05 / -9.64 eV
expectation value of S²: 3.8849
E_tot: -2793.66057 hartree
energy relative to the best compared isomer or geometry (same formula, charge and spin): 279.75 kJ/mol
~~~

# Response
1.
The following is a DFT calculation (ωB97M-V with the def2-TZVPD basis set) of a molecular structure, C46H45CuN5O2P2S2.

multiplicity: 2
gap between HOMO and LUMO (spin up / spin down): 7.70 / 6.60 eV
HOMO (spin up / spin down): -7.17 / -7.16 eV
expectation value of S²: 0.7564
E_tot: -5323.78897 hartree
energy relative to the best compared isomer or geometry (same formula, charge and spin): 0.00 kJ/mol

Element x y z (Å)
C  2.03115  3.14177  1.68404
H  2.23862  -0.47397  -5.67362
H  -2.97729  -4.55754  6.43790
C  -2.20845  -5.64682  0.43550
H  -1.03245  1.87614  -1.45118
H  -4.14229  -3.25018  6.17912
S  1.04884  -0.33578  3.45072
Cu  -0.47836  0.23810  1.12515
H  -2.80605  -6.75255  2.17543
C  -2.10089  -2.71548  5.73392
H  -3.52347  4.05029  0.13971
C  1.36760  4.70532  -2.50157
C  -3.19080  0.77056  0.27434
C  -3.93748  1.85321  -0.12290
H  0.37517  4.63375  -4.40365
H  -1.75312  0.10949  3.86536
H  2.86825  -2.51131  2.97628
H  -0.01492  0.20161  -4.11631
C  2.38315  -2.85975  2.08274
H  1.65183  -2.45602  -4.51897
C  -2.43672  -1.53493  5.07374
H  -0.50779  -4.07641  6.18308
H  3.36799  -2.88056  -4.64761
H  2.71882  1.99358  -4.70489
C  4.43404  3.32996  1.81179
H  -3.46011  -1.17535  5.10879
H  2.16203  4.58289  -0.51868
S  2.90268  0.08437  -1.04168
N  2.84044  0.14852  -3.75393
H  -3.07722  -3.22461  7.58097
C  -2.50330  -2.29106  -2.54159
C  -0.69998  -0.72057  -2.31037
H  -3.16170  -2.68009  -4.54228
C  -1.58232  -1.22359  -4.49037
H  -0.92165  3.22078  2.61504
N  0.81930  -2.47484  0.33555
C  1.92644  3.83172  2.88788
H  -3.24693  -2.94510  -2.10217
H  4.31902  1.62419  -4.01832
H  5.41187  3.12380  1.39365
H  2.96150  2.05394  -2.95179
C  4.31949  4.02848  3.00705
H  2.55063  -2.50072  -2.15470
C  -1.61455  -1.59123  -1.72420
C  -2.63303  -5.77174  1.75007
C  -2.47327  -2.12468  -3.91761
C  1.44318  4.17680  -1.21817
H  3.96266  -0.68309  -5.33201
H  0.65498  -3.90798  -1.12136
C  -0.78406  -3.15948  5.67464
P  -1.77332  -1.55698  0.09318
H  -1.16629  2.81655  -3.71254
C  2.13919  -4.47258  0.32290
C  -3.43439  -0.70587  0.20988